Job:
What is needed: return everything further below without additions.

Input:
+++
## K2AlRu (GGA-PBEsol)

Data for an optimized crystal structure of K2AlRu.

Summary:
formation enthalpy at 0 K	15.90	kcal/mol of atoms
ρ	2.964	g/cm³
total DFT energy (no corrections)	-27.54	eV per cell

abc: 4.101 5.722 9.848
angles: 90.00 90.00 90.00
Atoms (fractional coordinates):
K  0.000  0.000  0.000
K  0.000  0.500  0.198
K  0.500  0.000  0.698
K  0.500  0.500  0.500
Al  0.000  0.000  0.402
Al  0.500  0.500  0.902
Ru  0.000  0.500  0.791
Ru  0.500  0.000  0.291

=====

## K2AlRu (GGA-PBEsol)

Data for an optimized crystal structure of K2AlRu.

Summary:
formation enthalpy at 0 K	21.97	kcal/mol of atoms
ρ	3.982	g/cm³
total DFT energy (no corrections)	-50.88	eV per cell

abc: 3.836 3.836 23.382
angles: 90.00 90.00 90.00
Atoms (fractional coordinates):
K  0.248  0.250  0.125
K  0.250  0.748  0.375
K  0.250  0.752  0.875
K  0.252  0.250  0.625
K  0.748  0.750  0.625
K  0.750  0.248  0.875
K  0.750  0.252  0.375
K  0.752  0.750  0.125
Al  0.000  0.000  0.500
Al  0.000  0.500  0.750
Al  0.500  0.000  0.250
Al  0.500  0.500  0.000
Ru  0.000  0.000  0.000
Ru  0.000  0.500  0.250
Ru  0.500  0.000  0.750
Ru  0.500  0.500  0.500

=====

## KAl2Sb (GGA-PBEsol)

Data for an optimized crystal structure of KAl2Sb.

Summary:
ρ	3.497	g/cm³
ΔE_f (raw)	0.007	eV per atom
total DFT energy (no corrections)	-13.84	eV per cell

abc: 3.536 3.751 7.690
angles: 90.00 90.00 90.00
Atoms (fractional coordinates):
K  0.000  0.000  0.000
Al  0.000  0.000  0.520
Al  0.500  0.500  0.685
Sb  0.500  0.500  0.327

=====

An optimized crystal structure of Mo2RhAu, computed with GGA-PBE.

Output
- Formation energy: 158 meV/atom
- Density of states at the Fermi level: 0.96 states/eV per atom
- Energy above the most stable polymorph in this dataset: 118.7 meV/atom

a = 9.4760 Å, b = 9.4760 Å, c = 9.4760 Å
α = 16.99°, β = 16.99°, γ = 16.99°
Element x y z (fractional)
1 Mo 0.2463 0.2463 0.2463
2 Mo 0.7537 0.7537 0.7537
3 Rh 0.5000 0.5000 0.5000
4 Au 0.0000 0.0000 0.0000



An optimized crystal structure of Li3AgPt3, computed with GGA-PBE.

Output
- Formation energy: -144 meV/atom
- Density of states at the Fermi level: 0.28 states/eV per atom

a = 11.3556 Å, b = 11.3556 Å, c = 2.6779 Å
α = 90.00°, β = 90.00°, γ = 120.00°
Element x y z (fractional)
1 Li 0.1279 0.3873 0.2500
2 Li 0.2594 0.8721 0.2500
3 Li 0.3873 0.2594 0.7500
4 Li 0.6127 0.7406 0.2500
5 Li 0.7406 0.1279 0.7500
6 Li 0.8721 0.6127 0.7500
7 Ag 0.3333 0.6667 0.2500
8 Ag 0.6667 0.3333 0.7500
9 Pt 0.0722 0.6153 0.2500
10 Pt 0.3847 0.4568 0.2500
11 Pt 0.4568 0.0722 0.7500
12 Pt 0.5432 0.9278 0.2500
13 Pt 0.6153 0.5432 0.7500
14 Pt 0.9278 0.3847 0.7500



An optimized crystal structure of MgCd3Ag6, computed with GGA-PBE.

Output
- Formation energy: -91 meV/atom
- Density of states at the Fermi level: 0.20 states/eV per atom
- Energy above the most stable polymorph in this dataset: 0.0 meV/atom

a = 9.2679 Å, b = 4.2931 Å, c = 9.4882 Å
α = 90.00°, β = 92.35°, γ = 90.00°
Element x y z (fractional)
1 Mg 0.0552 0.2500 0.3900
2 Mg 0.9448 0.7500 0.6100
3 Cd 0.2453 0.2500 0.0066
4 Cd 0.3449 0.7500 0.8007
5 Cd 0.4483 0.2500 0.6003
6 Cd 0.5517 0.7500 0.3997
7 Cd 0.6551 0.2500 0.1993
8 Cd 0.7547 0.7500 0.9934
9 Ag 0.0493 0.7500 0.9002
10 Ag 0.1418 0.2500 0.6942
11 Ag 0.1497 0.7500 0.2030
12 Ag 0.2406 0.7500 0.4990
13 Ag 0.3502 0.2500 0.3012
14 Ag 0.4504 0.7500 0.1003
15 Ag 0.5496 0.2500 0.8997
16 Ag 0.6498 0.7500 0.6988
17 Ag 0.7594 0.2500 0.5010
18 Ag 0.8503 0.2500 0.7970
19 Ag 0.8582 0.7500 0.3058
20 Ag 0.9507 0.2500 0.0998



An optimized crystal structure of NiRh2, computed with GGA-PBE.

Output
- Formation energy: 211 meV/atom
- Density of states at the Fermi level: 1.76 states/eV per atom
- Energy above the most stable polymorph in this dataset: 171.7 meV/atom

a = 4.2683 Å, b = 4.2683 Å, c = 5.1864 Å
α = 90.00°, β = 90.00°, γ = 120.00°
Element x y z (fractional)
1 Ni 0.3333 0.6667 0.0000
2 Ni 0.6667 0.3333 0.0000
3 Rh 0.0000 0.0000 0.2448
4 Rh 0.0000 0.0000 0.7552
5 Rh 0.3333 0.6667 0.5000
+++

Here it is:
## K2AlRu (GGA-PBEsol)

Data for an optimized crystal structure of K2AlRu.

Summary:
formation enthalpy at 0 K	15.90	kcal/mol of atoms
ρ	2.964	g/cm³
total DFT energy (no corrections)	-27.54	eV per cell

abc: 4.101 5.722 9.848
angles: 90.00 90.00 90.00
Atoms (fractional coordinates):
K  0.000  0.000  0.000
K  0.000  0.500  0.198
K  0.500  0.000  0.698
K  0.500  0.500  0.500
Al  0.000  0.000  0.402
Al  0.500  0.500  0.902
Ru  0.000  0.500  0.791
Ru  0.500  0.000  0.291

=====

## K2AlRu (GGA-PBEsol)

Data for an optimized crystal structure of K2AlRu.

Summary:
formation enthalpy at 0 K	21.97	kcal/mol of atoms
ρ	3.982	g/cm³
total DFT energy (no corrections)	-50.88	eV per cell

abc: 3.836 3.836 23.382
angles: 90.00 90.00 90.00
Atoms (fractional coordinates):
K  0.248  0.250  0.125
K  0.250  0.748  0.375
K  0.250  0.752  0.875
K  0.252  0.250  0.625
K  0.748  0.750  0.625
K  0.750  0.248  0.875
K  0.750  0.252  0.375
K  0.752  0.750  0.125
Al  0.000  0.000  0.500
Al  0.000  0.500  0.750
Al  0.500  0.000  0.250
Al  0.500  0.500  0.000
Ru  0.000  0.000  0.000
Ru  0.000  0.500  0.250
Ru  0.500  0.000  0.750
Ru  0.500  0.500  0.500

=====

## KAl2Sb (GGA-PBEsol)

Data for an optimized crystal structure of KAl2Sb.

Summary:
ρ	3.497	g/cm³
ΔE_f (raw)	0.007	eV per atom
total DFT energy (no corrections)	-13.84	eV per cell

abc: 3.536 3.751 7.690
angles: 90.00 90.00 90.00
Atoms (fractional coordinates):
K  0.000  0.000  0.000
Al  0.000  0.000  0.520
Al  0.500  0.500  0.685
Sb  0.500  0.500  0.327

=====

An optimized crystal structure of Mo2RhAu, computed with GGA-PBE.

Output
- Formation energy: 158 meV/atom
- Density of states at the Fermi level: 0.96 states/eV per atom
- Energy above the most stable polymorph in this dataset: 118.7 meV/atom

a = 9.4760 Å, b = 9.4760 Å, c = 9.4760 Å
α = 16.99°, β = 16.99°, γ = 16.99°
Element x y z (fractional)
1 Mo 0.2463 0.2463 0.2463
2 Mo 0.7537 0.7537 0.7537
3 Rh 0.5000 0.5000 0.5000
4 Au 0.0000 0.0000 0.0000



An optimized crystal structure of Li3AgPt3, computed with GGA-PBE.

Output
- Formation energy: -144 meV/atom
- Density of states at the Fermi level: 0.28 states/eV per atom

a = 11.3556 Å, b = 11.3556 Å, c = 2.6779 Å
α = 90.00°, β = 90.00°, γ = 120.00°
Element x y z (fractional)
1 Li 0.1279 0.3873 0.2500
2 Li 0.2594 0.8721 0.2500
3 Li 0.3873 0.2594 0.7500
4 Li 0.6127 0.7406 0.2500
5 Li 0.7406 0.1279 0.7500
6 Li 0.8721 0.6127 0.7500
7 Ag 0.3333 0.6667 0.2500
8 Ag 0.6667 0.3333 0.7500
9 Pt 0.0722 0.6153 0.2500
10 Pt 0.3847 0.4568 0.2500
11 Pt 0.4568 0.0722 0.7500
12 Pt 0.5432 0.9278 0.2500
13 Pt 0.6153 0.5432 0.7500
14 Pt 0.9278 0.3847 0.7500



An optimized crystal structure of MgCd3Ag6, computed with GGA-PBE.

Output
- Formation energy: -91 meV/atom
- Density of states at the Fermi level: 0.20 states/eV per atom
- Energy above the most stable polymorph in this dataset: 0.0 meV/atom

a = 9.2679 Å, b = 4.2931 Å, c = 9.4882 Å
α = 90.00°, β = 92.35°, γ = 90.00°
Element x y z (fractional)
1 Mg 0.0552 0.2500 0.3900
2 Mg 0.9448 0.7500 0.6100
3 Cd 0.2453 0.2500 0.0066
4 Cd 0.3449 0.7500 0.8007
5 Cd 0.4483 0.2500 0.6003
6 Cd 0.5517 0.7500 0.3997
7 Cd 0.6551 0.2500 0.1993
8 Cd 0.7547 0.7500 0.9934
9 Ag 0.0493 0.7500 0.9002
10 Ag 0.1418 0.2500 0.6942
11 Ag 0.1497 0.7500 0.2030
12 Ag 0.2406 0.7500 0.4990
13 Ag 0.3502 0.2500 0.3012
14 Ag 0.4504 0.7500 0.1003
15 Ag 0.5496 0.2500 0.8997
16 Ag 0.6498 0.7500 0.6988
17 Ag 0.7594 0.2500 0.5010
18 Ag 0.8503 0.2500 0.7970
19 Ag 0.8582 0.7500 0.3058
20 Ag 0.9507 0.2500 0.0998



An optimized crystal structure of NiRh2, computed with GGA-PBE.

Output
- Formation energy: 211 meV/atom
- Density of states at the Fermi level: 1.76 states/eV per atom
- Energy above the most stable polymorph in this dataset: 171.7 meV/atom

a = 4.2683 Å, b = 4.2683 Å, c = 5.1864 Å
α = 90.00°, β = 90.00°, γ = 120.00°
Element x y z (fractional)
1 Ni 0.3333 0.6667 0.0000
2 Ni 0.6667 0.3333 0.0000
3 Rh 0.0000 0.0000 0.2448
4 Rh 0.0000 0.0000 0.7552
5 Rh 0.3333 0.6667 0.5000